Alternative process to pasteurisation
DFSV statement regarding media coverage of alternative process to pasteurisation for extended shelf life milk
- Dairy Food Safety Victoria (DFSV) is aware of recent media coverage concerning Queensland company, Naturo, patenting an alternative process to pasteurisation that can extend shelf life of milk.
- DFSV wishes to clarify that it has not approved this process to be undertaken in any commercial manufacturing facility in Victoria.
- Naturo has undertaken a validation process in Victoria and DFSV was asked to review the data collected during this validation process.
# Unrelated to this article: calculated crystals
Computed, not measured: a relaxed structure of LaMg2Cu9 at the PBE level of DFT.

```
LaMg2Cu9
1.0
-0.8646 4.0532 2.9295
-3.8890 -2.4598 -2.1408
-1.0688 -9.6218 12.9971
La Mg Cu
2 4 18
direct
0.3333 0.6667 0.7500
0.6667 0.3333 0.2500
0.3333 0.6667 0.5307
0.6667 0.3333 0.0307
0.6667 0.3333 0.4693
0.3333 0.6667 0.9693
0.0000 0.0000 0.0000
0.0000 0.0000 0.5000
0.0000 0.0000 0.2500
0.0000 0.0000 0.7500
0.3333 0.6667 0.2500
0.6667 0.3333 0.7500
0.1680 0.3360 0.1219
0.8320 0.1680 0.6219
0.3360 0.1680 0.6219
0.6640 0.8320 0.1219
0.1680 0.8320 0.1219
0.8320 0.6640 0.8781
0.8320 0.1680 0.8781
0.8320 0.6640 0.6219
0.3360 0.1680 0.8781
0.6640 0.8320 0.3781
0.1680 0.3360 0.3781
0.1680 0.8320 0.3781
```

Output
Symmetry: No. 194
Raw total energy, eV for the cell shown: -94.06

***

Computed, not measured: a relaxed structure of La2MgCu2 at the PBE level of DFT.

```
La2MgCu2
1.0
-1.2842 -3.5420 6.9859
7.8299 -0.3948 1.2392
-0.1013 3.4953 1.7536
La Mg Cu
4 2 4
direct
0.3268 0.8268 0.5000
0.8268 0.6732 0.5000
0.1732 0.3268 0.5000
0.6732 0.1732 0.5000
0.5000 0.5000 0.0000
0.0000 0.0000 0.0000
0.1196 0.6196 0.0000
0.6196 0.8804 0.0000
0.8804 0.3804 0.0000
0.3804 0.1196 0.0000
```

Output
Symmetry: No. 127
Raw total energy, eV for the cell shown: -41.31

***

Computed, not measured: a relaxed structure of LaMgCu2 at the PBE level of DFT.

```
LaMgCu2
1.0
2.3136 -4.0072 0.0000
2.3136 4.0072 0.0000
0.0000 0.0000 8.9766
La Mg Cu
2 2 4
direct
0.6667 0.3333 0.7500
0.3333 0.6667 0.2500
0.0000 0.0000 0.5000
0.0000 0.0000 0.0000
0.3333 0.6667 0.5753
0.6667 0.3333 0.0753
0.6667 0.3333 0.4247
0.3333 0.6667 0.9247
```

Output
Symmetry: No. 194
Raw total energy, eV for the cell shown: -30.95

***

Computed, not measured: a relaxed structure of LaMgCuO3 at the PBE level of DFT.

```
LaMgCuO3
1.0
5.6374 0.1763 0.1763
0.3699 4.3231 -0.0243
0.3699 -0.0243 4.3231
La Mg Cu O
1 1 1 3
direct
0.1899 0.4021 0.4021
0.8062 0.9240 0.9240
0.2624 0.8702 0.8702
0.4801 0.0633 0.0633
0.0140 0.5273 0.9632
0.0140 0.9632 0.5273
```

Output
Total moment, μB/f.u.: 0.0
Symmetry: No. 8
Raw total energy, eV for the cell shown: -37.67
Energy above the lowest structure with this stoichiometry, eV per atom: 0.000

***

Computed, not measured: a relaxed structure of LaMgCuO3 at the PBE level of DFT.

```
LaMgCuO3
1.0
-6.4527 0.3158 -0.3524
-0.2709 -1.7421 3.3988
0.0710 3.4045 1.7507
La Mg Cu O
1 1 1 3
direct
0.5000 0.5000 0.5000
0.0000 0.5000 0.5000
0.0000 0.0000 0.0000
0.5000 0.0000 0.0000
0.0000 0.5000 0.0000
0.0000 0.0000 0.5000
```

Output
Total moment, μB/f.u.: 0.0
Symmetry: No. 123
Raw total energy, eV for the cell shown: -34.51
Energy above the lowest structure with this stoichiometry, eV per atom: 0.528

***

Computed, not measured: a relaxed structure of La3MgCu4P4O2 at the PBE level of DFT.

```
La3MgCu4P4O2
1.0
-2.8985 -0.5789 2.8933
-2.1638 -3.4069 -2.8494
9.5107 -6.8139 5.2079
La Mg Cu P O
3 1 4 4 2
direct
0.0000 0.0000 0.0000
0.2914 0.2914 0.5827
0.7086 0.7086 0.4173
0.0000 0.5000 0.0000
# So much for the calculated crystals
- As a result of this review, DFSV accepts that the technology developed using the process described in the validation report may be used as an alternative treatment to pasteurisation for raw milk.
Background to DFSV approval process for licencing of dairy businesses
- Pasteurisation represents the principal process for rendering dairy products safe for consumption. The Australia New Zealand Food Standards Code (the Code) provides for equivalence to pasteurisation for the purposes of processing raw milk i.e. milk must be pasteurised by pasteurisation or using any other process that provides an equivalent or greater lethal effect on any pathogenic microorganisms.
- Any claims for equivalence made under the Code must be validated to demonstrate that any novel approach provides an equivalent or greater outcome than the accepted standard of pasteurisation. Validation involves obtaining evidence that a control measure or combination of control measures, if properly implemented, can control the hazard to achieve the specified outcome.
- To commence operating a dairy business in Victoria you must hold a current and valid dairy industry licence with DFSV. In order to be issued a dairy industry licence, a dairy business needs to develop a documented food safety program that demonstrates compliance with the Code, specifically Standard 4.2.4 Primary Production and Processing Standard for Dairy Products.
- Additionally, a dairy business must also ensure that premises and/or vehicles comply with the relevant sections of the Code.
- As part of the licence approval process, DFSV conducts an assessment of these elements to ensure that the business’ legislative responsibilities for ensuring food safety are appropriately addressed.
Here the text breaks off for calculated crystals =
~~~
The following is a PBE calculation of a relaxed structure of Th3O2, from Materials Project.

a = 6.9326 Å, b = 6.9326 Å, c = 6.9326 Å
α = 55.02°, β = 55.02°, γ = 55.02°
With the nearest neighbours (Å) after each atom.
Element x y z (fractional)
Th 0.0828 0.4172 0.7500  4 O 2.54-2.64
Th 0.7500 0.0828 0.4172  4 O 2.54-2.64
Th 0.4172 0.7500 0.0828  4 O 2.54-2.64
Th 0.5828 0.2500 0.9172  4 O 2.54-2.64
Th 0.2500 0.9172 0.5828  4 O 2.54-2.64
Th 0.9172 0.5828 0.2500  4 O 2.54-2.64
O 0.3384 0.3384 0.3384  6 Th 2.54-2.64
O 0.1616 0.1616 0.1616  6 Th 2.54-2.64
O 0.8384 0.8384 0.8384  6 Th 2.54-2.64
O 0.6616 0.6616 0.6616  6 Th 2.54-2.64

## Properties
DFT total energy ... -8.454 eV/atom
E_form ... -2301 meV/atom
Corrected total energy (MP2020 scheme) ... -8.73 eV/atom
Crystal system ... trigonal

~~~~~

# 1
The following is a PBE+U calculation of a relaxed structure of MoPO5, from the Materials Project. Values from VASP.

```
&SYSTEM
  ibrav = 0, nat = 28, ntyp = 3
/
ATOMIC_SPECIES
O 16.00 O.upf
P 30.97 P.upf
Mo 95.94 Mo.upf
ATOMIC_POSITIONS angstrom
O 1.7076 4.2322 -5.7182
O -3.6671 4.0634 -3.8835
O 0.0603 0.6798 -2.4243
P -0.9882 5.0421 -0.7369
O -2.5837 1.6653 -2.5657
O 1.6531 5.8357 -3.7777
O -3.3663 2.6548 -0.1338
Mo -0.1727 3.4907 -5.8646
P -2.6025 1.5860 -7.2353
Mo -3.4180 3.1375 -2.1076
O -0.0091 5.9937 -1.4475
O 0.0763 2.5647 -4.0887
O -3.5816 0.6344 -6.5247
O -1.0070 4.9628 -5.4065
O -1.7972 2.3085 -6.1326
Mo 1.9121 6.4578 -1.8625
O -1.7935 4.3196 -1.8396
O -6.2161 1.6961 -6.5959
O -0.2244 3.9733 -7.8384
Mo -5.5028 0.1703 -6.1097
O -5.2983 2.3960 -2.2540
O -2.0020 5.7861 -7.8220
O 2.6254 4.9321 -1.3763
O -1.5887 0.8421 -0.1502
P 2.5803 5.0226 -4.7188
P -6.1710 1.6055 -3.2534
O -3.6510 5.9483 -5.5479
O -5.2438 0.7924 -4.1945
CELL_PARAMETERS angstrom
-7.1334 0.0000 0.0000
3.5645 6.6867 0.0000
-0.0218 -0.0586 -7.9722
```

## Properties
DFT formation energy = -16.4 eV/f.u.
magnetic moment = 0.14 μB per atom

# 2
The following is a PBE+U calculation of a relaxed structure of Fe3O2F2, from the Materials Project. Values from VASP.

```
&SYSTEM
  ibrav = 0, nat = 14, ntyp = 3
/
ATOMIC_SPECIES
F 19.00 F.upf
Fe 55.84 Fe.upf
O 16.00 O.upf
ATOMIC_POSITIONS angstrom
F -5.1003 0.3058 -1.6541
Fe -4.0984 4.0285 1.9653
O -0.9001 1.6782 0.5567
Fe -5.2509 3.6936 -1.0080
F -2.0435 4.7282 1.1972
F -2.8098 2.4070 3.0064
Fe -2.6593 -0.9807 2.3603
Fe -4.4372 1.4651 -3.5291
O -7.0100 1.0347 0.7956
Fe -5.1491 1.0852 1.4905
Fe -2.7609 1.6277 -0.1381
O -3.5504 -0.0212 0.8668
F -5.8666 -2.0153 0.1551
O -4.3596 2.7340 0.4855
CELL_PARAMETERS angstrom
-3.1862 -4.0969 2.3027
-0.2867 5.3448 2.5790
-4.4372 1.4650 -3.5294
```

## Properties
DFT formation energy = -13.4 eV/f.u.
magnetic moment = 0.00 μB per atom

# 3
The following is a PBE+U calculation of a relaxed structure of Na5YW4O16, from the Materials Project. Values from VASP.

```
&SYSTEM
  ibrav = 0, nat = 52, ntyp = 4
/
ATOMIC_SPECIES
O 16.00 O.upf
Na 22.99 Na.upf
W 183.84 W.upf
Y 88.91 Y.upf
ATOMIC_POSITIONS angstrom
~~~
The calculated crystals stop here =
- When DFSV is satisfied that the food safety program and premises are appropriate for operating and the business has the requisite skills and competency, a licence will be issued.